Welcome back my busy, thriving, babes! I hope the start of summer finds you pursuing your passions, booking those auditions, and meeting those personal goals! Today I wanted to offer you some advice and direction as a fellow Model and Entrepreneur. Let’s talk INVOICES! Yes, yes I know it’s not the most exciting topic or aspect of being your own Boss but it has to be done and let me tell ya… I wish I would have had some help creating an invoice for modeling and guidance when I was starting out. So let me do that for you now!
Stay tuned for Part 2 where we discuss expenses, taxes and marketing.
Before we dive right in however I want you to ask yourself the following questions:
These are very important questions to ask yourself. As an entrepreneur, self managed model, and business owner I had to not only set these systems up for myself but sit and think about what would be the most beneficial way of keeping track of my various streams of income, clients and expenses. I highly suggest you do the same, even if you have assistance from someone else.
Below are four simple steps to get started on a weekly flow. This will help organize and create a modeling invoice system of your own.
Step 1: The Business of Modeling, Creating a Professional Appearance
## Data records, kept here for reference
........
No. 1
Sr2VGeRh | GGA-PBE | optimized geometry

## Properties
Energy relative to the elements (meV per atom): 771
E_tot (eV per atom): -4.1196

Lattice parameters (Å, degrees): 5.776 5.776 4.707 90.00 90.00 90.00
Sites, in units of the cell vectors:
Sr 0.000 0.500 0.000
Sr 0.500 0.000 0.000
V 0.000 0.000 0.000
Ge 0.000 0.000 0.500
Rh 0.500 0.500 0.500

***

No. 2
Sr2ZnGe4Rh3 | GGA-PBE | optimized geometry

## Properties
Energy relative to the elements (meV per atom): -588
E_tot (eV per atom): -5.1042

Lattice parameters (Å, degrees): 4.374 4.374 10.232 90.00 90.00 90.00
Sites, in units of the cell vectors:
Sr 0.000 0.500 0.248
Sr 0.500 0.000 0.752
Zn 0.000 0.000 0.500
Ge 0.000 0.000 0.000
Ge 0.000 0.500 0.632
Ge 0.500 0.000 0.368
Ge 0.500 0.500 0.000
Rh 0.000 0.500 0.879
Rh 0.500 0.000 0.121
Rh 0.500 0.500 0.500

***

No. 3
Ta3GeRh | GGA-PBE | optimized geometry

## Properties
Energy relative to the elements (meV per atom): 1099
E_tot (eV per atom): -8.4068
Relative energy among the computed polymorphs (meV/atom): 0

Lattice parameters (Å, degrees): 4.797 4.797 4.797 90.00 90.00 90.00
Sites, in units of the cell vectors:
Ta 0.000 0.000 0.500
Ta 0.000 0.500 0.000
Ta 0.500 0.000 0.000
Ge 0.500 0.500 0.500
Rh 0.000 0.000 0.000

***

| no. | total moment (μB per atom) |
| --- | --- |
| 1 | 0.87 |
| 2 | 0.00 |
| 3 | 0.00 |
........
If you have or wish to build up to having an assistant they may oversee this but Clients DO NOT need to know who manages the inbox.
Step 2: Use an Accounting Software Service
Step 3: Organizing Invoices
Note: that when you work through an agency they will provide you with your own invoice book (receipt book) as well as a completed invoice for your records. If you are self-managed, then you must invoice your Client. I do it via email or through a digital medium.
Step 4: Get Paid!
There you have it! A quick invoice workflow to help you set up a money management system of your own. Before I send you off to make those money moves I did want to leave you with some fun facts to help those of you entering or working within the Modeling industry.
Errors or Voids happen. Incorrect invoices should be marked and recorded in your records. Email your revised invoices to your Client or agency.
Note: Some Clients prefer to have the invoice within the body of the email you send.
Track Your Pay. Even if you have an agency it is not up to them to track your pay. It is up to you! Track your amount of pay after you have deducted what your agent gets. Check those totals.
Sometimes invoices can be quite complex. Make additional notes within your quickbooks, spreadsheets, or whatever applications you use for your records.
Have a cancellation policy in place. Time is money honey! I require 24hrs. notice otherwise the original agreed hrs. and pay stand.
What comes next are calculated crystals, not part of the entry:
/*
1.
{
  "formula": "NiGeAu2",
  "functional": "PBE",
  "state": "optimized geometry",
  "total_energy_ev_per_atom": -4.072,
  "cell": [[0.0000, 3.1896, 3.1896], [3.1896, 0.0000, 3.1896], [3.1896, 3.1896, 0.0000]],
  "species": ["Ni", "Ge", "Au", "Au"],
  "frac_coords": [[0.0000, 0.0000, 0.0000], [0.7500, 0.7500, 0.7500], [0.2500, 0.2500, 0.2500], [0.5000, 0.5000, 0.5000]]
}


2.
{
  "formula": "ThTaAs",
  "functional": "PBE",
  "state": "optimized geometry",
  "total_energy_ev_per_atom": -7.642,
  "cell": [[0.0000, 3.2952, 3.2952], [3.2952, 0.0000, 3.2952], [3.2952, 3.2952, 0.0000]],
  "species": ["Th", "Ta", "As"],
  "frac_coords": [[0.0000, 0.0000, 0.0000], [0.2500, 0.2500, 0.2500], [0.5000, 0.5000, 0.5000]]
}


3.
{
  "formula": "SmSbW",
  "functional": "PBE",
  "state": "optimized geometry",
  "total_energy_ev_per_atom": -6.055,
  "cell": [[0.0000, 3.5293, 3.5293], [3.5293, 0.0000, 3.5293], [3.5293, 3.5293, 0.0000]],
  "species": ["Sm", "Sb", "W"],
  "frac_coords": [[0.0000, 0.0000, 0.0000], [0.7500, 0.7500, 0.7500], [0.2500, 0.2500, 0.2500]]
}


4.
{
  "formula": "Gd2Pa2O5",
  "functional": "PBE",
  "state": "optimized geometry",
  "de_polymorph_ev_per_atom": 0.000,
  "cell": [[4.2274, 0.0000, 0.0000], [0.0000, 4.2274, 0.0000], [0.0000, 0.0000, 9.1225]],
  "species": ["Gd", "Gd", "Pa", "Pa", "O", "O", "O", "O", "O"],
  "frac_coords": [[0.0000, 0.0000, 0.0000], [0.0000, 0.0000, 0.5000], [0.5000, 0.5000, 0.2457], [0.5000, 0.5000, 0.7543], [0.0000, 0.5000, 0.1711], [0.0000, 0.5000, 0.8289], [0.5000, 0.0000, 0.1711], [0.5000, 0.0000, 0.8289], [0.5000, 0.5000, 0.0000]]
}


5.
{
  "formula": "Lu4Sc2P3C3",
  "functional": "PBE",
  "state": "optimized geometry",
  "total_energy_ev_per_atom": -7.018,
  "cell": [[5.1162, -3.0839, 0.0000], [5.1162, 3.0839, 0.0000], [-3.4660, 0.0000, 13.1600]],
  "species": ["Lu", "Lu", "Lu", "Lu", "Lu", "Lu", "Lu", "Lu", "Sc", "Sc", "Sc", "Sc", "P", "P", "P", "P", "P", "P", "C", "C", "C", "C", "C", "C"],
  "frac_coords": [[0.0405, 0.1972, 0.1020], [0.1345, 0.2993, 0.3992], [0.1972, 0.0405, 0.6020], [0.2993, 0.1345, 0.8992], [0.7007, 0.8655, 0.1008], [0.8028, 0.9595, 0.3980], [0.8655, 0.7007, 0.6008], [0.9595, 0.8028, 0.8980], [0.3528, 0.5415, 0.0891], [0.4585, 0.6472, 0.4109], [0.5415, 0.3528, 0.5891], [0.6472, 0.4585, 0.9109], [0.1005, 0.8995, 0.2500], [0.2869, 0.4827, 0.7499], [0.4827, 0.2869, 0.2499], [0.5173, 0.7131, 0.7501], [0.7131, 0.5173, 0.2501], [0.8995, 0.1005, 0.7500], [0.0000, 0.5000, 0.0000], [0.1677, 0.6668, 0.4979], [0.3332, 0.8323, 0.0021], [0.5000, 0.0000, 0.5000], [0.6668, 0.1677, 0.9979], [0.8323, 0.3332, 0.5021]]
}


6.
{
  "formula": "NdUW",
  "functional": "PBE",
  "state": "optimized geometry",
  "formation_enthalpy_0k_ev_per_atom": 1.438,
  "de_polymorph_ev_per_atom": 0.000,
  "cell": [[0.0000, 3.3450, 3.3450], [3.3450, 0.0000, 3.3450], [3.3450, 3.3450, 0.0000]],
  "species": ["Nd", "U", "W"],
  "frac_coords": [[0.0000, 0.0000, 0.0000], [0.2500, 0.2500, 0.2500], [0.5000, 0.5000, 0.5000]]
}
*/
In conclusion of creating your modeling invoice.
• Inserted here: calculated crystals:
********
# 1
{"formula": "KZn2Si", "functional": "PBE", "state": "relaxed", "formation_energy_uncorrected_ev_per_atom": 0.26, "lattice_angstrom": [[-0.4638, 0.9334, -3.1373], [1.6707, -2.6573, -1.0376], [-6.7627, -4.1590, -0.2377]], "species": ["Si", "Zn", "Zn", "K"], "frac_coords": [[0.5000, 0.5000, 0.8256], [0.0000, 0.0000, 0.9918], [0.5000, 0.5000, 0.1770], [0.0000, 0.0000, 0.5056]]}

***

# 2
{"formula": "Pr3Zn4Ir2", "functional": "PBE", "state": "relaxed", "e_form_ev_per_atom": -0.4864, "lattice_angstrom": [[4.1606, 0.0000, 1.1099], [1.6924, 5.4527, 2.0091], [-0.0954, 0.2406, 8.7111]], "species": ["Pr", "Zn", "Zn", "Zn", "Zn", "Pr", "Ir", "Ir", "Pr"], "frac_coords": [[0.0000, 0.0000, 0.0000], [0.9662, 0.6957, 0.3718], [0.0338, 0.3043, 0.6282], [0.7187, 0.6166, 0.9460], [0.2813, 0.3834, 0.0540], [0.3158, 0.7217, 0.6466], [0.3923, 0.9469, 0.2685], [0.6077, 0.0531, 0.7315], [0.6842, 0.2783, 0.3534]]}

***

# 3
{"formula": "AlReS2N", "functional": "PBE", "state": "relaxed", "formation_energy_uncorrected_ev_per_atom": 0.23, "lattice_angstrom": [[-2.1585, 3.4999, 2.5034], [-2.9670, 0.8180, -3.7018], [-2.4209, -2.4877, 1.3906]], "species": ["S", "Re", "N", "S", "Al"], "frac_coords": [[0.5000, 0.0000, 0.0000], [0.0000, 0.0000, 0.0000], [0.0000, 0.0000, 0.5000], [0.0000, 0.5000, 0.0000], [0.5000, 0.5000, 0.5000]]}

***

# 4
{"formula": "Ca3SeF", "functional": "PBE", "state": "relaxed", "formation_energy_uncorrected_ev_per_atom": -1.23, "lattice_angstrom": [[5.0126, 0.0000, 0.0000], [0.0000, 5.0126, 0.0000], [0.0000, 0.0000, 5.0126]], "species": ["Se", "Ca", "Ca", "F", "Ca"], "frac_coords": [[0.5000, 0.5000, 0.5000], [0.0000, 0.0000, 0.5000], [0.5000, 0.0000, 0.0000], [0.0000, 0.0000, 0.0000], [0.0000, 0.5000, 0.0000]]}

***

# 5
{"formula": "Zn2HgHOs", "functional": "PBE", "state": "relaxed", "dft_energy_ev_per_cell": -11.9, "lattice_angstrom": [[-1.0013, -1.1335, 4.7961], [-2.5709, -1.7457, -0.9493], [2.9078, -4.0873, -0.3589]], "species": ["H", "Os", "Hg", "Zn", "Zn"], "frac_coords": [[0.0000, 0.5000, 0.0000], [0.5000, 0.5000, 0.5000], [0.0000, 0.0000, 0.0000], [0.5000, 0.0000, 0.0000], [0.0000, 0.0000, 0.5000]]}

***

# 6
{"formula": "Tl2InPt", "functional": "PBE", "state": "relaxed", "e_form_ev_per_atom": 0.0502, "lattice_angstrom": [[-6.3542, -0.8774, -5.1072], [-6.9370, -3.6931, -2.3383], [-8.0382, 0.0752, -1.6157]], "species": ["Pt", "Tl", "Tl", "In"], "frac_coords": [[0.7500, 0.7500, 0.7500], [0.4844, 0.4844, 0.4844], [0.0156, 0.0156, 0.0156], [0.2500, 0.2500, 0.2500]]}

***

# 7
{"formula": "B2PdAu", "functional": "PBE", "state": "relaxed", "e_form_ev_per_atom": 0.9470, "lattice_angstrom": [[-2.1912, -1.5031, 3.0253], [-1.9653, 2.4811, 2.4889], [-4.0190, 0.2108, -0.1267]], "species": ["Au", "B", "B", "Pd"], "frac_coords": [[0.5000, 0.5000, 0.5000], [0.2500, 0.2500, 0.2500], [0.7500, 0.7500, 0.7500], [0.0000, 0.0000, 0.0000]]}

***

# 8
********
I really hope that today’s introduction into creating invoice for modeling aids you in setting up, organizing, or just finding what works best for you money management wise. Not a lot of people talk about this side of working for yourself unfortunately and it’s about damn time we have these discussions and share this information!
In Part 2 we will discuss expenses, taxes and marketing.
XX Alexa